Annabeth's POV

She intertwined their fingers as he cried, the tears making small streams on either side of his face. "So…yeah," he croaked, his voice hoarse from the pain she now knew he felt.

### Calculated molecules that have nothing to do with the article
/*
DFT (wB97M-V/def2-TZVPD) results for a 2-piece molecular cluster, C6H10NO overall.

```
18
Properties=species:S:1:pos:R:3:nbo_charge:R:1
C 2.324 -0.212 0.107 0.12
C 1.204 -0.712 -0.236 -0.19
C 3.362 0.468 0.601 -0.35
C -0.813 1.683 -0.566 -0.47
C 0.014 -1.107 -0.645 -0.04
C -1.926 0.975 -0.391 0.10
N -0.902 -1.864 0.202 -0.71
O -2.490 0.502 0.796 -0.67
H 3.948 1.347 0.021 0.25
H 3.844 0.215 1.506 0.23
H -0.302 2.071 0.269 0.20
H -0.245 1.792 -1.484 0.24
H -0.461 -0.627 -1.566 0.25
H -2.449 0.721 -1.292 0.20
H -1.494 -1.254 0.728 0.46
H -0.357 -2.354 0.957 0.45
H -1.371 -2.628 -0.326 0.46
H -1.885 0.983 1.318 0.48
```

As for the HOMO energy (alpha / beta): -10.538 / -13.304 eV. Its spin multiplicity is 3. For the HOMO-LUMO gap (alpha / beta), the calculation gives 6.985 / 6.610 eV. The calculation puts the LUMO energy (alpha / beta) at -3.55 / -6.69 eV. Its net charge is +1. For the energy above the lowest of the compared OMol25 structures with the same formula, charge and spin, the calculation gives 256.52 kJ/mol.


Entry 1:
Entry from the Open Molecules 2025 dataset: C35H37ClNOP2RuSSe4 as an isolated structure (wB97M-V/def2-TZVPD).

## Properties
net charge: 0
LUMO energy (spin up / spin down): 0.047 / -0.834 eV
2S+1: 6
energy above the lowest of the compared OMol25 structures with the same formula, charge and spin: 1.7842 eV
orbital gap (spin up / spin down): 6.780 / 6.296 eV
expectation value of S²: 8.785
HOMO energy (spin up / spin down): -6.73 / -7.13 eV

Each line ends with the Löwdin charge.
Atoms and positions in Å:
Ru -0.3305 1.5236 1.6616  0.1703
Se -1.6528 2.9144 5.1209  -0.1886
Se -1.0062 3.7525 1.8659  0.1710
Se -0.2473 1.3003 4.1795  0.0224
Se -0.4401 4.7479 5.4945  0.0013
Cl -2.9181 -2.6669 0.4857  0.6721
S -3.4644 1.1708 2.4535  0.7535
P 0.6774 -0.7654 1.7299  0.9345
P -0.1610 1.7297 -0.6501  0.9121
O -2.5212 0.6552 1.3869  -0.6868
N 2.2154 0.1600 -1.2314  -0.1582
C 4.3827 -1.5417 4.3748  -0.0838
C -1.0949 -0.5319 -2.0507  -0.0953
C 0.4658 4.4223 -0.9739  -0.1744
C 2.6790 -2.3874 2.9019  -0.0810
C -0.8990 4.7619 -3.3601  -0.0792
C -4.6665 -0.1532 2.6130  -0.2492
C 2.5905 -0.6471 -2.3270  -0.2400
C -0.1738 5.8161 -2.8251  -0.0843
C -0.2740 3.3598 -1.4946  -0.3850
C -4.5354 2.3423 1.6179  -0.2541
C 0.4219 -2.2997 0.7529  -0.3104
C 3.7901 -2.6027 3.7031  -0.0797
C -3.3981 -0.8586 -2.6503  -0.0960
C 2.7608 -0.0438 3.4233  -0.1505
C 0.5155 5.6409 -1.6348  -0.0733
C -0.4773 -2.9468 1.7694  -0.3890
C 1.5149 1.4104 -1.4408  -0.2556
C 2.6319 -0.0829 0.0513  -0.0773
C -2.0918 -1.3163 -2.6174  -0.0949
C 3.6728 -1.5270 -2.2175  -0.0341
C 2.2771 -1.4100 -4.6011  -0.0760
C 0.6950 -2.8782 -0.4126  -0.0599
C 1.9058 -0.5918 -3.5463  -0.0427
C -1.6010 -3.7431 1.1380  -0.5792
C 2.1396 -1.1071 2.7724  -0.3775
C 3.3315 -2.3025 -4.4752  -0.0960
C -1.0468 -4.5554 0.0000  -0.1133
C 0.0171 -4.1474 -0.7005  -0.0680
C -0.6943 -1.6975 2.6364  -0.2801
C -3.7102 0.3789 -2.0985  -0.0771
C -2.7175 1.1555 -1.5271  -0.1279
C 4.0267 -2.3475 -3.2766  -0.0815
*/

She didn't know how he lived with it, constantly eating away at him, constantly destroying his shattered soul piece by further piece. His first love, this Rachel, had died while dating him, Not even died, slowly, and painfully died right in front of him, over months.

But now she realized how much he loved her, even more than she had ever imagined. To Perseus, she was a sign of hope, a sign of renewal, of being fixed, healed, from his brokenness.

No wonder he hadn't wanted to go by Percy since then.

But more than anything, she remembered Luke Castellan, who she now considered to be a small crush compared to what she felt for Perseus. But, at the time, she felt what she thought was love to this much older than her guy.

Luke, to her younger mind, was the epitome of what it was to be cool. He longboarded, he was captain of his football team, he actually played guitar as well, and he just looked cool. He even attempted to teach Annabeth how to longboard, until the fourth go at it and she almost destroyed her face on the concrete.

Luke was okay, until his father, Hermes Mercury, started showing up in his life again. He had left their family when Luke was a baby, and now that he came back, Luke was pissed. Pissed at him for ever leaving in the first place. So, Hermes tended to come over when Luke was out doing something.

And when Luke found out about that, he was still pissed, but he became sad as well. And slowly but surely, the sadness started to replace his anger towards his father. Until the breaking point.

Luke had killed himself. There were never any details released, but Annabeth remembered the toll it took on her. She was depressed for weeks, a few months, and only Thalia could talk to her without her spontaneously bursting into tears or screaming during that.

She didn't know why Luke killed himself until she was older, but when she was younger, all she knew was that Luke was gone. And to her younger self, nothing would ever be okay again without Luke.

Sadness, it seemed, was Luke's cancer, but in the end, he took his own life on his own choice, and it only hurt Annabeth for a while. Rachel had cancer, and her life was stolen away from her, and Perseus's was stolen with hers.

"I'm so sorry," she whispered gently while pressing gentle kisses along his jawline, "I'm so sorry."

He nodded and gently kissed her forehead and started to wipe away his tears with the back of his hand, head still hanging.

She kissed the tip of his nose and murmured, "I'm so sorry, Perseus, that you were hurt like that."

He shook his head, and that left her confused.

"What?" she mumbled, looking at him with concern.

He looked at her, and his eyes glinted with the few tears left in his them, and the green seemed fragment, broken, like the sea had been slashed open and never reclosed, never healed.

## Between two parts of the piece: calculated molecules
~~~
Entry 1:
Molecular formula: C3H5N4O4
Method: DFT, ωB97M-V/def2-TZVPD

Output
Gap between HOMO and LUMO = 7.41 eV
Total charge = -1
HOMO energy = -4.51 eV
LUMO = 2.897 eV

CARTESIAN COORDINATES (ANGSTROEM)
C 1.90240 0.27780 0.03319
C -0.42843 1.33377 0.18547
C 0.79556 0.77283 0.92600
N -2.62779 0.57873 0.01250
N 1.40780 -0.37525 -1.03880
N -0.75800 -1.89608 -0.50476
N -1.37632 0.35167 0.00645
O -0.29115 -2.27597 0.64967
O 3.03168 0.75637 0.18316
O -0.41467 2.50924 -0.21371
O -3.43485 -0.35723 -0.26441
H 1.31885 1.62688 1.37712
H 0.37405 0.22970 1.75705
H 0.40985 -0.66724 -1.01013
H 1.90500 -1.03269 -1.63873
H -1.81398 -1.83255 -0.46006

---

Entry 2:
Molecular formula: C45H55FeN9O2Se2
Method: DFT, ωB97M-V/def2-TZVPD

Output
Gap between HOMO and LUMO = 5.56 eV
Total charge = 0
HOMO energy = -6.54 eV
LUMO = -0.971 eV

CARTESIAN COORDINATES (ANGSTROEM)
Fe -1.80652 0.81271 -1.14985
C 3.77856 0.60837 4.68715
C 4.21052 0.38680 3.23557
C 4.92006 -0.97077 3.14633
C 5.21981 1.48273 2.85759
C 3.02843 0.47701 2.27000
C 1.86101 1.15392 2.56240
C 0.86839 1.35498 1.60331
Se -2.31349 0.53337 1.16369
C -1.24284 -1.05291 1.18536
C -0.77689 -1.60278 2.36496
C -0.19655 -2.85977 2.36495
C -0.21084 -3.55954 1.15488
C -0.72343 -3.06447 -0.03828
C -1.19782 -1.72259 -0.05684
O -1.63128 -1.14493 -1.15205
C -0.91588 -3.98628 -1.25223
C -0.33995 -3.42562 -2.55969
C -0.27808 -5.36166 -1.03320
C -2.42881 -4.19306 -1.43358
C 0.34343 -3.45246 3.66552
C -0.82555 -3.77676 4.60603
C 1.26572 -2.43431 4.34511
C 1.14377 -4.73351 3.42619
C 0.99032 0.89571 0.26380
O 0.11105 1.25344 -0.64499
C 2.17531 0.15206 -0.02631
C 3.13146 -0.00494 0.96807
C 2.53985 -0.47206 -1.38353
C 1.44042 -0.36040 -2.43343
C 2.84409 -1.96710 -1.18377
C 3.78777 0.22533 -1.94948
H 4.63937 0.49104 5.34891
H 3.38459 1.61427 4.84245
H 3.01524 -0.11022 4.99050
H 5.72942 -1.01208 3.87914
H 4.23685 -1.79589 3.34893
H 5.36439 -1.13529 2.16417
H 6.09081 1.45247 3.51834
H 5.56406 1.35356 1.82945
H 4.76110 2.47082 2.93633
H 1.70428 1.56359 3.55257
H -0.87265 -1.03253 3.28233
H 0.18339 -4.56428 1.15330
H 0.73682 -3.27594 -2.48258
H -0.52015 -4.14566 -3.36338
H -0.79947 -2.47684 -2.82240
H 0.79534 -5.28086 -0.84593
H -0.73480 -5.90126 -0.20114
H -0.41590 -5.96601 -1.93200
H -2.91930 -3.23722 -1.61375
H -2.62511 -4.84835 -2.28697
H -2.86620 -4.64534 -0.54094
H -1.41255 -2.88281 4.82403
H -1.49217 -4.51309 4.15254
H -0.45710 -4.18114 5.55284
H 0.72479 -1.53147 4.63269
H 1.71141 -2.86056 5.24808
H 2.06264 -2.13232 3.66491
H 0.52249 -5.53025 3.01304
H 1.97827 -4.55924 2.74325
H 1.55084 -5.09193 4.37410
H 4.03956 -0.52947 0.69997
H 0.50037 -0.78719 -2.09476
H 1.25083 0.68269 -2.66914
H 1.76053 -0.87890 -3.34368
H 1.99898 -2.46511 -0.70481
H 3.02928 -2.44351 -2.15082
H 3.72489 -2.13049 -0.56140
H 3.59410 1.29134 -2.09634
H 4.64958 0.13145 -1.28739
H 4.05510 -0.21156 -2.91609
Se -7.65399 5.38623 -2.59969
N -7.45249 3.61515 -2.62184
C -6.21820 3.36428 -2.28511
C -5.66574 2.01497 -2.19456
C -6.38943 0.85259 -2.45759
~~~

He brushed the bangs out his eyes, and murmured simply, "I have a request."

She nodded and grabs his hands in her own. "Anything."

(Here the entry breaks off for calculated molecules)
DFT (ωB97M-V/def2-TZVPD) results for a structure of composition C12H14F6GaO5S.

Last column: natural (NBO) charge in e.
Cartesian coordinates (Å):
O1 0.50 0.15 2.99  -0.757
C1 -0.42 0.13 1.87  -0.071
C2 0.18 1.05 0.73  -0.961
Ga1 0.21 0.22 -1.14  1.293
F1 -1.58 0.28 -1.77  -0.778
C3 0.78 -1.76 -1.21  0.293
F2 -0.26 -2.67 -0.87  -0.391
F3 1.11 -2.07 -2.57  -0.393
C4 2.03 -2.15 -0.36  -0.068
C5 2.28 -3.60 -0.19  -0.180
C6 3.46 -4.04 0.56  -0.230
C7 4.39 -3.10 1.17  -0.241
C8 4.12 -1.68 1.00  -0.061
C9 5.16 -0.69 1.63  0.965
F4 6.39 -1.32 1.60  -0.340
F5 5.21 0.41 0.79  -0.329
F6 4.84 -0.31 2.90  -0.317
C10 2.95 -1.20 0.25  -0.217
H1 0.78 -0.75 3.23  0.462
H2 -0.69 -0.91 1.54  0.163
H3 -1.36 0.64 2.25  0.159
H4 1.18 1.43 1.09  0.218
H5 -0.48 1.96 0.66  0.222
H6 1.12 1.13 -2.09  -0.368
H7 1.61 -4.36 -0.64  0.233
H8 3.63 -5.14 0.64  0.208
H9 5.27 -3.46 1.74  0.228
H10 2.77 -0.10 0.14  0.259
C11 -6.06 2.51 -1.67  -0.098
C12 -4.71 2.21 -2.30  -0.108
O2 -3.90 3.33 -1.94  -0.671
S1 -4.35 3.88 -0.50  2.531
O3 -3.48 3.33 0.49  -0.879
O4 -4.59 5.28 -0.60  -0.905
O5 -5.77 3.11 -0.41  -0.690
H11 -6.63 3.23 -2.26  0.178
H12 -6.66 1.61 -1.53  0.205
H13 -4.77 2.11 -3.38  0.207
H14 -4.26 1.31 -1.87  0.228

Values from the calculation:
* 2S+1: 1
* LUMO level: 2.6 eV
* net charge: -1
* frontier orbital gap: 7.777 eV

---

DFT (ωB97M-V/def2-TZVPD) results for a cluster of 2 separate species, C12H14IN2 in total.

Last column: Löwdin spin population.
Cartesian coordinates (Å):
I1 3.20 14.35 11.45  1.001
C1 2.24 18.94 1.17  0.000
N1 2.16 18.76 2.64  0.000
C2 2.08 17.50 3.18  0.000
C3 1.99 17.30 4.53  0.000
C4 1.98 18.39 5.36  0.000
C5 2.14 19.68 4.80  0.000
C6 2.27 19.85 3.45  0.000
C7 1.64 18.24 6.78  0.000
C8 2.27 17.29 7.54  0.000
C9 2.06 17.07 8.91  0.000
N2 1.08 17.88 9.49  0.000
C10 0.45 18.88 8.79  0.000
C11 0.67 19.02 7.45  0.000
C12 0.75 17.78 10.93  0.000
H1 2.90 18.12 0.88  0.000
H2 2.80 19.85 0.93  0.000
H3 1.22 18.90 0.81  0.000
H4 2.09 16.74 2.42  0.000
H5 1.79 16.32 4.94  0.000
H6 2.20 20.52 5.48  0.000
H7 2.59 20.76 2.96  0.000
H8 2.95 16.63 7.03  0.000
H9 2.58 16.30 9.45  0.001
H10 -0.20 19.55 9.33  0.000
H11 0.01 19.72 6.95  0.000
H12 1.19 18.62 11.48  0.000
H13 1.20 16.93 11.45  -0.001
H14 -0.33 17.75 11.03  0.000

Values from the calculation:
* 2S+1: 2
* LUMO level (spin up / spin down): -8.1 / -8.2 eV
* ΔE to the lowest compared entry with this formula, charge and spin: 0.0 kJ/mol
* net charge: +2
* frontier orbital gap (spin up / spin down): 7.130 / 6.700 eV

---

DFT (ωB97M-V/def2-TZVPD) results for a structure of composition C12H14IN3O3Re.

Last column: Löwdin spin population.
Cartesian coordinates (Å):
C1 0.03 1.42 2.26  -0.040
C2 0.40 -1.43 2.27  0.048
H1 1.03 1.59 2.72  -0.007
H2 -0.38 0.70 4.00  0.012
H3 -0.36 2.30 1.73  0.010

He didn't smile, but the corners of his lips made the slightest, so slight, movement upwards, and it filled her with hope and happiness and rush of emotion for the man in front of her.

He pulled his hand out from hers and held it out to her, fingertips slightly tilted down, and said, "I'm Percy Jackson. It's quite a pleasure to meet you," and she saw the usual playful glint in his eyes, and another rush of emotion hit her like a brick wall.

Her arms flew around his neck, and her lips collided into his, and her brain melted, and, with it, her logic. He was the only thing that was real, that existed, and she wanted him more than ever.

A/N: So, next chapter is gonna be M. Again. Just a warning for y'all that wanted one. Hope you liked the glimpse into Annabeth's life, and now you know even she lost a loved one. Shame, hm?